Source:
a.
# TiV3Pt PBE optimized geometry
# space-group type	Pm-3m
# total magnetization	2.704	μB per formula unit
# volume	19.921	A^3/atom
data_TiV3Pt
_chemical_formula_sum 'Ti1 V3 Pt1'
_cell_length_a 4.635
_cell_length_b 4.635
_cell_length_c 4.635
_cell_angle_alpha 90.00
_cell_angle_beta 90.00
_cell_angle_gamma 90.00
_symmetry_space_group_name_H-M 'P 1'
_symmetry_Int_Tables_number 1
_symmetry_space_group_name_Hall 'P 1'
loop_
_atom_site_label
_atom_site_fract_x
_atom_site_fract_y
_atom_site_fract_z
_atom_site_occupancy
Ti1 0.000 0.000 0.000 1
V1 0.000 0.500 0.500 1
V2 0.500 0.000 0.500 1
V3 0.500 0.500 0.000 1
Pt1 0.500 0.500 0.500 1

b.
# TiV3Pt PBE optimized geometry
# space-group type	Pm-3m
# total magnetization	0.012	μB per formula unit
# volume	16.069	A^3/atom
data_TiV3Pt
_chemical_formula_sum 'Ti1 V3 Pt1'
_cell_length_a 4.315
_cell_length_b 4.315
_cell_length_c 4.315
_cell_angle_alpha 90.00
_cell_angle_beta 90.00
_cell_angle_gamma 90.00
_symmetry_space_group_name_H-M 'P 1'
_symmetry_Int_Tables_number 1
_symmetry_space_group_name_Hall 'P 1'
loop_
_atom_site_label
_atom_site_fract_x
_atom_site_fract_y
_atom_site_fract_z
_atom_site_occupancy
Ti1 0.000 0.000 0.000 1
V1 0.000 0.000 0.500 1
V2 0.000 0.500 0.000 1
V3 0.500 0.000 0.000 1
Pt1 0.500 0.500 0.500 1

Result of the stability comparison: b is the least stable of them.

a.
# Ti3PtW PBE optimized geometry
# space-group type	Pm-3m
# total magnetization	0.000	μB per formula unit
# volume	20.678	A^3/atom
data_Ti3PtW
_chemical_formula_sum 'Ti3 Pt1 W1'
_cell_length_a 4.693
_cell_length_b 4.693
_cell_length_c 4.693
_cell_angle_alpha 90.00
_cell_angle_beta 90.00
_cell_angle_gamma 90.00
_symmetry_space_group_name_H-M 'P 1'
_symmetry_Int_Tables_number 1
_symmetry_space_group_name_Hall 'P 1'
loop_
_atom_site_label
_atom_site_fract_x
_atom_site_fract_y
_atom_site_fract_z
_atom_site_occupancy
Ti1 0.000 0.000 0.500 1
Ti2 0.000 0.500 0.000 1
Ti3 0.500 0.000 0.000 1
Pt1 0.500 0.500 0.500 1
W1 0.000 0.000 0.000 1

b.
# Ti3PtW PBE optimized geometry
# space-group type	Pm-3m
# total magnetization	0.002	μB per formula unit
# volume	20.719	A^3/atom
data_Ti3PtW
_chemical_formula_sum 'Ti3 Pt1 W1'
_cell_length_a 4.697
_cell_length_b 4.697
_cell_length_c 4.697
_cell_angle_alpha 90.00
_cell_angle_beta 90.00
_cell_angle_gamma 90.00
_symmetry_space_group_name_H-M 'P 1'
_symmetry_Int_Tables_number 1
_symmetry_space_group_name_Hall 'P 1'
loop_
_atom_site_label
_atom_site_fract_x
_atom_site_fract_y
_atom_site_fract_z
_atom_site_occupancy
Ti1 0.000 0.000 0.500 1
Ti2 0.000 0.500 0.000 1
Ti3 0.500 0.000 0.000 1
Pt1 0.000 0.000 0.000 1
W1 0.500 0.500 0.500 1

Result of the stability comparison: b is the least stable of them.

a.
# YTi3Pt PBE optimized geometry
# space-group type	Pm-3m
# total magnetization	0.872	μB per formula unit
# volume	20.365	A^3/atom
data_YTi3Pt
_chemical_formula_sum 'Y1 Ti3 Pt1'
_cell_length_a 4.670
_cell_length_b 4.670
_cell_length_c 4.670
_cell_angle_alpha 90.00
_cell_angle_beta 90.00
_cell_angle_gamma 90.00
_symmetry_space_group_name_H-M 'P 1'
_symmetry_Int_Tables_number 1
_symmetry_space_group_name_Hall 'P 1'
loop_
_atom_site_label
_atom_site_fract_x
_atom_site_fract_y
_atom_site_fract_z
_atom_site_occupancy
Y1 0.000 0.000 0.000 1
Ti1 0.000 0.000 0.500 1
Ti2 0.000 0.500 0.000 1
Ti3 0.500 0.000 0.000 1
Pt1 0.500 0.500 0.500 1

b.
# YTi3Pt PBE optimized geometry
# space-group type	Pm-3m
# total magnetization	0.001	μB per formula unit
# volume	23.174	A^3/atom
data_YTi3Pt
_chemical_formula_sum 'Y1 Ti3 Pt1'
_cell_length_a 4.875
_cell_length_b 4.875
_cell_length_c 4.875
_cell_angle_alpha 90.00
_cell_angle_beta 90.00
_cell_angle_gamma 90.00
_symmetry_space_group_name_H-M 'P 1'
_symmetry_Int_Tables_number 1
_symmetry_space_group_name_Hall 'P 1'
loop_
_atom_site_label
_atom_site_fract_x
_atom_site_fract_y
_atom_site_fract_z
_atom_site_occupancy
Y1 0.000 0.000 0.000 1
Ti1 0.000 0.500 0.500 1
Ti2 0.500 0.000 0.500 1
Ti3 0.500 0.500 0.000 1
Pt1 0.500 0.500 0.500 1

Brief:
Search the block further above for the word "them" and echo each line that has it, please.

Completed:
Result of the stability comparison: b is the least stable of them.
Result of the stability comparison: b is the least stable of them.